Assignment >
The reader should count the lines further down that contain the word "O6" and give the number alone.
Source >
/*
Cs2CoMoF6: simulated XRD peak list (Cu Kα), based on a cell relaxed with GGA+U.
Lines closer than 0.1° are merged.

Structural model:
a b c (Å): 7.0001 7.0001 7.0001
angles (deg): 130.04 130.04 73.34
Sites, in units of the cell vectors:
Cs 0.2500 0.7500 0.5000
Cs 0.7500 0.2500 0.5000
Co 0.0000 0.0000 0.0000
Mo 0.5000 0.5000 0.0000
F 0.2464 0.2464 0.4928
F 0.2464 0.7536 0.0000
F 0.3139 0.3139 0.0000
F 0.6861 0.6861 0.0000
F 0.7536 0.2464 0.0000
F 0.7536 0.7536 0.5072

Top 10 peaks for 15 to 90 degrees two-theta, by angle:
2θ/deg	I/Imax
26.58	100
30.23	34
31.88	25
34.28	14
43.28	24
44.51	19
51.52	32
53.66	18
54.75	20
71.31	21

* * * * *

Structure and calculated XRD peak list of PmSm2Ga4 (a crystal structure in Alexandria, relaxed with GGA-PBE; λ = 1.5418 Å (Cu Kα)).

Peak list (8 most intense, 2θ from 10° to 90°, sorted by position)
2theta  I_rel
25.6  22
31.1  100
31.6  53
35.4  25
40.1  28
41.4  27
43.1  24
54.4  23

Structural model:
Unit cell a=9.785 b=9.785 c=9.785 alpha=155.22 beta=154.26 gamma=36.03
Fractional positions:
Pm  0.000  0.000  0.000
Sm  0.184  0.684  0.500
Sm  0.816  0.316  0.500
Ga  0.356  0.856  0.500
Ga  0.434  0.434  0.000
Ga  0.566  0.566  0.000
Ga  0.644  0.144  0.500

* * * * *

This entry pairs a crystal structure of TiZnP2O7 with its calculated powder diffractogram. Radiation: copper Kα. Structure: a GGA-PBE-relaxed structure.

Top 8 peaks for 5° ≤ 2θ ≤ 70°, low angle first:
two_theta	d (Å)	Rel. int.	hkl
27.86	3.203	38.1	2 0 1
28.61	3.121	48.4	1 1 2
28.77	3.103	68.9	0 0 2
29.04	3.075	67.1	2 1 1
30.04	2.975	21.5	2 0 0
30.34	2.946	100.0	0 2 1
31.64	2.827	81.5	0 2 -1
43.75	2.069	34.0	0 0 3

Crystal structure
```
data_TiZnP2O7
_chemical_formula_sum 'Ti2 Zn2 P4 O14'
_space_group_name_H-M_alt 'P -1'
_space_group_IT_number 2
_cell_length_a 6.5196
_cell_length_b 6.6065
_cell_length_c 6.7551
_cell_angle_alpha 83.90
_cell_angle_beta 66.89
_cell_angle_gamma 81.06
loop_
_space_group_symop_operation_xyz
'x,y,z'
'-x,-y,-z'
loop_
_atom_site_label
_atom_site_fract_x
_atom_site_fract_y
_atom_site_fract_z
Ti1 0.1000 0.1490 0.2796
Zn1 0.2941 0.3760 0.6688
P1 0.2234 0.6392 0.2601
P2 0.3533 0.8873 0.8374
O1 0.0660 0.8303 0.3737
O2 0.0833 0.4787 0.2451
O3 0.2039 0.8067 0.7466
O4 0.2510 0.0935 0.9486
O5 0.3765 0.7179 0.0245
O6 0.3909 0.5506 0.3662
O7 0.4034 0.1118 0.3219
```
*/
Response >
1